**Given:**
........
No. 1
Computed X-ray powder pattern of K2SrCl4 for CuKα, from a structure optimized by DFT (PBE).
Neutral-atom scattering factors, no anomalous dispersion.

a = 8.376 Å, b = 8.376 Å, c = 7.716 Å
α = 108.35°, β = 108.35°, γ = 110.82°
Positions (direct):
K (0.067, 0.447, 0.653)
K (0.102, 0.898, 0.500)
K (0.447, 0.067, 0.153)
K (0.898, 0.102, 0.000)
Sr (0.471, 0.656, 0.369)
Sr (0.656, 0.471, 0.869)
Cl (0.151, 0.687, 0.114)
Cl (0.305, 0.306, 0.936)
Cl (0.306, 0.305, 0.436)
Cl (0.402, 0.808, 0.718)
Cl (0.687, 0.151, 0.614)
Cl (0.714, 0.822, 0.191)
Cl (0.808, 0.402, 0.218)
Cl (0.822, 0.714, 0.691)

Most intense lines, 10° ≤ 2θ ≤ 90°, most intense first:
- 2θ = 29.4°, 3.042 Å, I 100
- 2θ = 29.5°, 3.024 Å, I 66
- 2θ = 22.8°, 3.904 Å, I 46
- 2θ = 12.9°, 6.865 Å, I 41
- 2θ = 30.3°, 2.949 Å, I 37
- 2θ = 34.5°, 2.601 Å, I 28
- 2θ = 30.7°, 2.911 Å, I 28
- 2θ = 30.5°, 2.928 Å, I 26
- 2θ = 35.6°, 2.520 Å, I 21
- 2θ = 36.1°, 2.485 Å, I 21

No. 2
Computed X-ray powder pattern of La6NdSn2 for CuKα, from a structure optimized by DFT (PBE).
Neutral-atom scattering factors, no anomalous dispersion.

a = 7.710 Å, b = 7.710 Å, c = 5.739 Å
α = 90.12°, β = 90.12°, γ = 59.74°
Positions (direct):
La (0.115, 0.692, 0.764)
La (0.307, 0.307, 0.238)
La (0.308, 0.885, 0.236)
La (0.692, 0.115, 0.764)
La (0.693, 0.693, 0.762)
La (0.885, 0.308, 0.236)
Nd (0.500, 0.500, 0.500)
Sn (0.166, 0.166, 0.733)
Sn (0.834, 0.834, 0.267)

Most intense lines, 10° ≤ 2θ ≤ 90°, most intense first:
- 2θ = 31.0°, 2.881 Å, I 100
- 2θ = 31.0°, 2.888 Å, I 50
- 2θ = 41.5°, 2.174 Å, I 30
- 2θ = 31.2°, 2.869 Å, I 28
- 2θ = 55.4°, 1.659 Å, I 21
- 2θ = 47.1°, 1.928 Å, I 20
- 2θ = 20.4°, 4.350 Å, I 19
- 2θ = 35.6°, 2.524 Å, I 17
- 2θ = 43.7°, 2.070 Å, I 15
- 2θ = 34.0°, 2.636 Å, I 14

No. 3
Computed X-ray powder pattern of Ag2AsBr4 for CuKα, from a structure optimized by DFT (PBE).
Neutral-atom scattering factors, no anomalous dispersion.

a = 6.472 Å, b = 6.472 Å, c = 6.472 Å
α = 114.45°, β = 114.45°, γ = 99.91°
Positions (direct):
Ag (0.250, 0.750, 0.500)
Ag (0.750, 0.250, 0.500)
As (0.000, 0.000, 0.000)
Br (0.165, 0.649, 0.000)
Br (0.351, 0.351, 0.516)
Br (0.649, 0.165, 0.000)
Br (0.835, 0.835, 0.484)

Most intense lines, 10° ≤ 2θ ≤ 90°, most intense first:
- 2θ = 28.0°, 3.188 Å, I 100
- 2θ = 36.3°, 2.477 Å, I 54
- 2θ = 46.4°, 1.956 Å, I 48
- 2θ = 51.0°, 1.790 Å, I 28
- 2θ = 33.4°, 2.681 Å, I 26
- 2θ = 52.2°, 1.752 Å, I 18
- 2θ = 17.9°, 4.954 Å, I 17
- 2θ = 76.0°, 1.252 Å, I 17
- 2θ = 72.4°, 1.305 Å, I 12
- 2θ = 60.3°, 1.535 Å, I 11

No. 4
Computed X-ray powder pattern of Sr2SbF8 for CuKα, from a structure optimized by DFT (PBE).
Neutral-atom scattering factors, no anomalous dispersion.

a = 8.067 Å, b = 8.067 Å, c = 8.067 Å
α = 142.38°, β = 48.61°, γ = 150.35°
Positions (direct):
Sr (0.172, 0.000, 0.172)
Sr (0.828, 0.000, 0.828)
Sb (0.431, 0.931, 0.500)
F (0.023, 0.291, 0.268)
F (0.023, 0.754, 0.732)
F (0.230, 0.503, 0.727)
F (0.393, 0.251, 0.639)
F (0.393, 0.754, 0.142)
F (0.611, 0.251, 0.858)
F (0.611, 0.754, 0.361)
F (0.776, 0.503, 0.273)

Most intense lines, 10° ≤ 2θ ≤ 90°, most intense first:
- 2θ = 25.0°, 3.567 Å, I 100
- 2θ = 45.2°, 2.008 Å, I 70
- 2θ = 27.6°, 3.234 Å, I 59
- 2θ = 28.3°, 3.157 Å, I 48
- 2θ = 46.5°, 1.953 Å, I 43
- 2θ = 51.2°, 1.785 Å, I 36
- 2θ = 43.9°, 2.064 Å, I 23
- 2θ = 36.7°, 2.451 Å, I 18
- 2θ = 70.3°, 1.339 Å, I 14
- 2θ = 34.5°, 2.601 Å, I 13

No. 5
Computed X-ray powder pattern of KMnP2Cl for CuKα, from a structure optimized by DFT (PBE).
Neutral-atom scattering factors, no anomalous dispersion.

a = 4.331 Å, b = 4.331 Å, c = 6.656 Å
α = 90.00°, β = 90.00°, γ = 90.00°
Positions (direct):
K (0.000, 0.000, 0.000)
Mn (0.500, 0.500, 0.500)
P (0.000, 0.500, 0.500)
P (0.500, 0.000, 0.500)
Cl (0.500, 0.500, 0.000)

Most intense lines, 10° ≤ 2θ ≤ 90°, most intense first:
- 2θ = 26.8°, 3.328 Å, I 100
- 2θ = 50.3°, 1.815 Å, I 59
- 2θ = 41.7°, 2.165 Å, I 54
- 2θ = 24.5°, 3.630 Å, I 47
- 2θ = 32.2°, 2.782 Å, I 42
- 2θ = 20.5°, 4.331 Å, I 28
........
**Exercise:**
Give back the part of the listing above that starts with the line with "33.4°, 2.681" and stops after the one with "17.9°, 4.954".
**Done:**
- 2θ = 33.4°, 2.681 Å, I 26
- 2θ = 52.2°, 1.752 Å, I 18
- 2θ = 17.9°, 4.954 Å, I 17